Juniors’ Individual Written Argument

Kudos to you Juniors!

Juniors Individual Written Argument

AP Capstone Seminar is now an integral part of your Magnet educational experience- if you have taken it, you’ll know that it is the precursor to the AP Research class. In Seminar, you learn how to research and write your ideas. I remember this class being hard- because it’s AP, all the information that you get is what you need to do, and little about how you need to do it. That comes from mostly trial and error and peer reviewing. My IWA was titled, “Non-attachment: Emotion vs the Environment” with a research question of “Do the detriments that non-attachment causes, in the context of consumerism, outweigh the emotional benefits caused by the same practice?” It was confusing. It still is. Personally, I put a lot of blood, sweat, and tears into this class, and thankfully I got a lot out of it. It really helped me become a better writer. Thank you Mrs. Benton 🙂

For this article, I surveyed this year’s juniors to compile a partial list of their IWA Research Questions. Perhaps some of you underclassman readers will get ideas for next year or the year after. I applaud all you juniors for all the hard work you are doing, and keep it up because soon it will be St. Patrick’s day, and then it will be spring break and then it will be summer!! Hang in there.


Asher Wallen: “To what extent can a balance between athletics and academics positively influence the variety of career paths available to American college students?”

I was inspired to research this topic by my own participation in athletic and academic activities through school.

— Asher Wallen


Bryce Getsinger: “Is in-school suspension or out-of-school suspension a more effective disciplinary method for maintaining secondary and post-secondary students’ academic security?”

Relates to the 2020-2021 stimulus packet theme of athletics because of the extracurricular implications of out-of-school suspension, including missing school sports.

— Bryce Getsinger



William Hyatt: “Does the risk of brain damage which may result from playing football at the high school through NFL levels outweigh the rewards of playing the sport?”

Although I play football, I am taking the position that participating in the sport is NOT worth the risk because it’s easier to write about.

# Someone pasted calculated crystals at this point
- - -
No. 1
Computed, not measured: LaOs2Rh after structural relaxation at the PBE level of DFT.

POSCAR file:
```
LaOs2Rh
1.0
1.621 0.110 4.377
-2.974 0.351 3.582
-0.682 -3.647 2.834
La Os Rh
1 2 1
Cartesian
0.000 0.000 0.000
-0.509 -0.796 2.698
-1.526 -2.389 8.095
-1.017 -1.593 5.397
```

Computed properties:
* formation energy from the elements: 0.759 eV/atom
* space group: No. 225

---

No. 2
Computed, not measured: LaSi3Os after structural relaxation at the PBE level of DFT.

POSCAR file:
```
LaSi3Os
1.0
3.235 -4.879 0.311
-1.289 -3.852 4.226
-2.909 2.962 -4.138
La Si Os
1 3 1
Cartesian
1.943 -8.722 4.533
0.812 -3.646 1.895
-1.591 -2.726 1.229
0.671 -3.239 -0.728
1.274 -5.719 2.972
```

Computed properties:
* formation energy from the elements: -0.654 eV/atom
* space group: No. 107

---

No. 3
Computed, not measured: LaP2 after structural relaxation at the PBE level of DFT.

POSCAR file:
```
LaP2
1.0
-5.586 -5.624 5.061
4.726 -6.878 -4.336
3.814 -6.213 5.015
La P
8 16
Cartesian
1.541 -10.676 2.315
2.657 -13.686 5.543
-0.283 -5.984 4.502
1.775 -3.360 -1.618
5.606 -9.344 -2.144
-1.913 -11.304 8.953
-0.074 -9.702 5.955
2.702 -7.166 -0.820
2.121 -7.520 5.742
2.595 -4.703 1.065
2.799 -9.488 5.040
1.586 -6.466 1.900
3.290 -8.034 1.991
-1.275 -4.604 1.906
3.016 -10.213 -0.650
-0.334 -12.680 6.648
3.938 -12.193 3.176
-0.707 -8.753 3.164
2.905 -13.994 2.398
-1.627 -10.568 2.283
6.436 -10.518 0.562
-3.278 -6.462 5.170
0.106 -12.405 4.491
0.884 -9.626 -0.464
```

Computed properties:
* formation energy from the elements: -1.107 eV/atom
* space group: No. 9

---

No. 4
Computed, not measured: LaP3 after structural relaxation at the PBE level of DFT.

POSCAR file:
```
LaP3
1.0
2.923 -5.062 0.000
2.923 5.062 0.000
0.000 0.000 5.392
La P
2 6
Cartesian
2.923 -1.687 1.348
2.923 1.687 4.044
2.923 -3.680 4.044
1.197 -0.691 4.044
4.648 -0.691 4.044
2.923 3.680 1.348
4.648 0.691 1.348
1.197 0.691 1.348
```

Computed properties:
* formation energy from the elements: -0.386 eV/atom
* space group: No. 194
- - -

— William Hyatt




Kaylin Morris: “How should STEM companies and corporations in the United States work towards closing the gender gap in employment persistence in the STEM field?”


Louisa Grubb: “Should national sports media companies invest in women’s sports stories?”


Sydney Heller: “Should the United States Soccer Federation or USSF allot the same amount of funds for pay given to the US Men’s National Soccer Team to the Women’s National Soccer Team as well?”


Carter Limbert: “What is the best way to increase women’s recruitment in the professional track circuit through increasing demand?”


Leo Sparacino: “Should the US Government use social media to engage with citizens in poverty?”

99.5% of people in areas with a high poverty rate have access to Mobile LTE (FCC).

— Leo Sparacino


Molly Marino: “Should the United States military have more females in commanding officer ranks?”


Emma Helen Inman: “To what extent do children playing violent video games have an effect on anger and aggressive behavior?”


Marshall Fleming: “Should high schools offer scheduled mental health check-ins to their athletes in order to early identify anxiety?”

Athletes do a lot for schools and schools expect a lot from athletes. Each day athletes go out everyday to practice and games and give a 110%. I believe it is time schools help them out a little and make sure they are alright in the head.

— Marshall Fleming


Lia Shalit: “Should colleges in the United States consider students’ national standardized tests (SAT, ACT) scores as the primary admission policy?”


Lily Claypoole: “What is the best way to prevent unsafe abortions in the underdeveloped areas of Uganda?”


Alden Klemm: “Should physical exercise be someone’s primary effort to increase immune system activity?”


Inés Carrillo: “Should the lack of black female representation in the entertainment industry be approached in a manner to ensure that their positions are not tokenized?”

Tokenism is a huge but overlooked problem in the workplace, and definitely something that worries me as I have seen other Latinx people like me become tokens and it is definitely a fear for my and others’ own futures

— Inés Carrillo